____________
This entry pairs a crystal structure of TaNb6Re2 with its simulated PXRD pattern. Radiation: Cu Ka. Structure: a GGA-PBE-relaxed structure.
Intensities are scaled so that the largest is 100.

Structure:
```
TaNb6Re2
1.0
5.214 -1.615 0.000
5.214 1.615 0.000
-3.282 0.000 9.264
Ta Nb Re
1 6 2
Cartesian
0.000 0.000 0.000
-1.062 0.000 3.046
3.045 0.000 1.043
1.995 0.000 4.078
5.151 0.000 5.186
4.102 0.000 8.220
8.208 0.000 6.217
0.951 0.000 7.223
6.195 0.000 2.041
```

The 8 most intense peaks (2θ = 10–90°), low angle first:
| 2θ/deg | I (rel.) |
| --- | --- |
| 38.5 | 26 |
| 39.2 | 100 |
| 39.3 | 25 |
| 56.2 | 17 |
| 57.0 | 9 |
| 70.0 | 9 |
| 71.2 | 17 |
| 84.2 | 11 |

----------

Diffraction record for CdI2. The PXRD pattern is theoretical, not measured: it uses DFT lattice parameters and positions (GGA-PBE) and copper Kα.
No peak broadening, texture or thermal motion is included.

Structural model:
Lattice parameters (Å, degrees): 4.332 4.332 51.863 90.00 90.00 120.00
Fractional coordinates of all 21 atoms:
Cd (0.000, 0.000, 0.000)
Cd (0.000, 0.000, 0.143)
Cd (0.000, 0.000, 0.429)
Cd (0.000, 0.000, 0.714)
Cd (0.667, 0.333, 0.286)
Cd (0.667, 0.333, 0.571)
Cd (0.667, 0.333, 0.857)
I (0.000, 0.000, 0.252)
I (0.000, 0.000, 0.538)
I (0.000, 0.000, 0.824)
I (0.333, 0.667, 0.033)
I (0.333, 0.667, 0.176)
I (0.333, 0.667, 0.319)
I (0.333, 0.667, 0.462)
I (0.333, 0.667, 0.605)
I (0.333, 0.667, 0.748)
I (0.333, 0.667, 0.890)
I (0.667, 0.333, 0.110)
I (0.667, 0.333, 0.395)
I (0.667, 0.333, 0.681)
I (0.667, 0.333, 0.967)

Top 12 peaks for 2θ = 15–90°, in order of falling intensity:
| 2θ (°) | Rel. int. |
| --- | --- |
| 26.63 | 100.0 |
| 41.70 | 52.1 |
| 30.45 | 27.7 |
| 29.38 | 27.4 |
| 43.89 | 25.8 |
| 34.01 | 22.9 |
| 66.41 | 22.4 |
| 50.17 | 19.1 |
| 38.01 | 17.4 |
| 67.22 | 14.9 |
| 39.43 | 14.8 |
| 43.53 | 13.8 |

***

Diffraction record for CdI2. The PXRD pattern is theoretical, not measured: it uses DFT lattice parameters and positions (GGA-PBE) and copper Kα.
No peak broadening, texture or thermal motion is included.

Structural model:
Lattice parameters (Å, degrees): 4.335 4.335 89.312 90.00 90.00 120.00
Fractional coordinates of all 36 atoms:
Cd (0.000, 0.000, 0.000)
Cd (0.000, 0.000, 0.167)
Cd (0.000, 0.000, 0.333)
Cd (0.000, 0.000, 0.500)
Cd (0.000, 0.000, 0.667)
Cd (0.000, 0.000, 0.833)
Cd (0.333, 0.667, 0.083)
Cd (0.333, 0.667, 0.250)
Cd (0.333, 0.667, 0.417)
Cd (0.333, 0.667, 0.583)
Cd (0.667, 0.333, 0.750)
Cd (0.667, 0.333, 0.917)
I (0.000, 0.000, 0.103)
I (0.000, 0.000, 0.269)
I (0.000, 0.000, 0.436)
I (0.000, 0.000, 0.603)
I (0.000, 0.000, 0.731)
I (0.000, 0.000, 0.897)
I (0.333, 0.667, 0.019)
I (0.333, 0.667, 0.186)
I (0.333, 0.667, 0.353)
I (0.333, 0.667, 0.519)
I (0.333, 0.667, 0.686)
I (0.333, 0.667, 0.769)
I (0.333, 0.667, 0.853)
I (0.333, 0.667, 0.936)
I (0.667, 0.333, 0.064)
I (0.667, 0.333, 0.147)
I (0.667, 0.333, 0.231)
I (0.667, 0.333, 0.314)
I (0.667, 0.333, 0.397)
I (0.667, 0.333, 0.481)
I (0.667, 0.333, 0.564)
I (0.667, 0.333, 0.647)
I (0.667, 0.333, 0.814)
I (0.667, 0.333, 0.981)

Top 12 peaks for 2θ = 15–90°, in order of falling intensity:
| 2θ (°) | Rel. int. |
| --- | --- |
| 26.59 | 100.0 |
| 41.66 | 70.5 |
| 29.84 | 61.2 |
| 38.60 | 40.0 |
| 66.19 | 30.9 |
| 43.73 | 24.2 |
| 43.48 | 19.2 |
| 50.12 | 18.6 |
| 67.15 | 14.7 |
| 48.95 | 13.9 |
| 23.91 | 13.0 |
| 27.06 | 12.9 |

***

Diffraction record for CdI2. The PXRD pattern is theoretical, not measured: it uses DFT lattice parameters and positions (GGA-PBE) and copper Kα.
No peak broadening, texture or thermal motion is included.

Structural model:
Lattice parameters (Å, degrees): 4.333 4.333 66.717 90.00 90.00 120.00
Fractional coordinates of all 27 atoms:
Cd (0.000, 0.000, 0.000)
Cd (0.000, 0.000, 0.111)
Cd (0.000, 0.000, 0.333)
Cd (0.000, 0.000, 0.444)
Cd (0.000, 0.000, 0.778)
Cd (0.333, 0.667, 0.222)
Cd (0.333, 0.667, 0.556)
Cd (0.333, 0.667, 0.667)
Cd (0.333, 0.667, 0.889)
I (0.000, 0.000, 0.196)
I (0.000, 0.000, 0.530)
I (0.000, 0.000, 0.641)
____________

Your job: restate the data above unchanged.

This entry pairs a crystal structure of TaNb6Re2 with its simulated PXRD pattern. Radiation: Cu Ka. Structure: a GGA-PBE-relaxed structure.
Intensities are scaled so that the largest is 100.

Structure:
```
TaNb6Re2
1.0
5.214 -1.615 0.000
5.214 1.615 0.000
-3.282 0.000 9.264
Ta Nb Re
1 6 2
Cartesian
0.000 0.000 0.000
-1.062 0.000 3.046
3.045 0.000 1.043
1.995 0.000 4.078
5.151 0.000 5.186
4.102 0.000 8.220
8.208 0.000 6.217
0.951 0.000 7.223
6.195 0.000 2.041
```

The 8 most intense peaks (2θ = 10–90°), low angle first:
| 2θ/deg | I (rel.) |
| --- | --- |
| 38.5 | 26 |
| 39.2 | 100 |
| 39.3 | 25 |
| 56.2 | 17 |
| 57.0 | 9 |
| 70.0 | 9 |
| 71.2 | 17 |
| 84.2 | 11 |

----------

Diffraction record for CdI2. The PXRD pattern is theoretical, not measured: it uses DFT lattice parameters and positions (GGA-PBE) and copper Kα.
No peak broadening, texture or thermal motion is included.

Structural model:
Lattice parameters (Å, degrees): 4.332 4.332 51.863 90.00 90.00 120.00
Fractional coordinates of all 21 atoms:
Cd (0.000, 0.000, 0.000)
Cd (0.000, 0.000, 0.143)
Cd (0.000, 0.000, 0.429)
Cd (0.000, 0.000, 0.714)
Cd (0.667, 0.333, 0.286)
Cd (0.667, 0.333, 0.571)
Cd (0.667, 0.333, 0.857)
I (0.000, 0.000, 0.252)
I (0.000, 0.000, 0.538)
I (0.000, 0.000, 0.824)
I (0.333, 0.667, 0.033)
I (0.333, 0.667, 0.176)
I (0.333, 0.667, 0.319)
I (0.333, 0.667, 0.462)
I (0.333, 0.667, 0.605)
I (0.333, 0.667, 0.748)
I (0.333, 0.667, 0.890)
I (0.667, 0.333, 0.110)
I (0.667, 0.333, 0.395)
I (0.667, 0.333, 0.681)
I (0.667, 0.333, 0.967)

Top 12 peaks for 2θ = 15–90°, in order of falling intensity:
| 2θ (°) | Rel. int. |
| --- | --- |
| 26.63 | 100.0 |
| 41.70 | 52.1 |
| 30.45 | 27.7 |
| 29.38 | 27.4 |
| 43.89 | 25.8 |
| 34.01 | 22.9 |
| 66.41 | 22.4 |
| 50.17 | 19.1 |
| 38.01 | 17.4 |
| 67.22 | 14.9 |
| 39.43 | 14.8 |
| 43.53 | 13.8 |

***

Diffraction record for CdI2. The PXRD pattern is theoretical, not measured: it uses DFT lattice parameters and positions (GGA-PBE) and copper Kα.
No peak broadening, texture or thermal motion is included.

Structural model:
Lattice parameters (Å, degrees): 4.335 4.335 89.312 90.00 90.00 120.00
Fractional coordinates of all 36 atoms:
Cd (0.000, 0.000, 0.000)
Cd (0.000, 0.000, 0.167)
Cd (0.000, 0.000, 0.333)
Cd (0.000, 0.000, 0.500)
Cd (0.000, 0.000, 0.667)
Cd (0.000, 0.000, 0.833)
Cd (0.333, 0.667, 0.083)
Cd (0.333, 0.667, 0.250)
Cd (0.333, 0.667, 0.417)
Cd (0.333, 0.667, 0.583)
Cd (0.667, 0.333, 0.750)
Cd (0.667, 0.333, 0.917)
I (0.000, 0.000, 0.103)
I (0.000, 0.000, 0.269)
I (0.000, 0.000, 0.436)
I (0.000, 0.000, 0.603)
I (0.000, 0.000, 0.731)
I (0.000, 0.000, 0.897)
I (0.333, 0.667, 0.019)
I (0.333, 0.667, 0.186)
I (0.333, 0.667, 0.353)
I (0.333, 0.667, 0.519)
I (0.333, 0.667, 0.686)
I (0.333, 0.667, 0.769)
I (0.333, 0.667, 0.853)
I (0.333, 0.667, 0.936)
I (0.667, 0.333, 0.064)
I (0.667, 0.333, 0.147)
I (0.667, 0.333, 0.231)
I (0.667, 0.333, 0.314)
I (0.667, 0.333, 0.397)
I (0.667, 0.333, 0.481)
I (0.667, 0.333, 0.564)
I (0.667, 0.333, 0.647)
I (0.667, 0.333, 0.814)
I (0.667, 0.333, 0.981)

Top 12 peaks for 2θ = 15–90°, in order of falling intensity:
| 2θ (°) | Rel. int. |
| --- | --- |
| 26.59 | 100.0 |
| 41.66 | 70.5 |
| 29.84 | 61.2 |
| 38.60 | 40.0 |
| 66.19 | 30.9 |
| 43.73 | 24.2 |
| 43.48 | 19.2 |
| 50.12 | 18.6 |
| 67.15 | 14.7 |
| 48.95 | 13.9 |
| 23.91 | 13.0 |
| 27.06 | 12.9 |

***

Diffraction record for CdI2. The PXRD pattern is theoretical, not measured: it uses DFT lattice parameters and positions (GGA-PBE) and copper Kα.
No peak broadening, texture or thermal motion is included.

Structural model:
Lattice parameters (Å, degrees): 4.333 4.333 66.717 90.00 90.00 120.00
Fractional coordinates of all 27 atoms:
Cd (0.000, 0.000, 0.000)
Cd (0.000, 0.000, 0.111)
Cd (0.000, 0.000, 0.333)
Cd (0.000, 0.000, 0.444)
Cd (0.000, 0.000, 0.778)
Cd (0.333, 0.667, 0.222)
Cd (0.333, 0.667, 0.556)
Cd (0.333, 0.667, 0.667)
Cd (0.333, 0.667, 0.889)
I (0.000, 0.000, 0.196)
I (0.000, 0.000, 0.530)
I (0.000, 0.000, 0.641)